Take-All Root Rot (TARR), or Take-All Patch, is a serious fungal disease affecting St. Augustine and Bermuda grass lawns in the Coastal Bend. I have diagnosed 4 cases in the last 7 days, with lawn damage ranging from a few small dead spots up to an 80% dead lawn overrun by weeds, which last year was a great source of pride to the now-dismayed owner.

High soil pH, soil compaction, too much or too little fertilizer, too much or too little irrigation, or herbicide injury are all stress factors that can make lawns more susceptible to TARR. TARR is related to but different from Large Patch (Brown Patch), which we commonly see in Fall and Winter. Large Patch results in temporary brown roughly circular patches during Winter but the lawn revives in Spring, whereas TARR kills roots and runners completely and the lawn will not recover on its own.

TARR, like Large Patch, can be spread by mowers, foot traffic, birds, and wind. TARR cannot be cured or eliminated, but it can be suppressed by cultural practices or by fungicide use. We prefer to treat organically by spreading one 3.8 cubic foot bale of Canadian peat moss over 1000 square feet of lawn in October or November, followed in March by Natures Blend compost at one bag per 50 square feet of lawn. We have had good results in restoring lawns with this method. Or you can choose to apply Fertilome F-Stop fungicide granules in October, November, December, and January, once a month. For patches 3 feet across or more, I recommend plugging Floratam St. Augustine into the dead areas, with a little Natures Blend compost beneath and on top.
First visual symptoms of TARR are yellow patches or strips, followed by thinning brown patches of lawn with a few unhealthy tufts of green, showing some dead brown runners and darkened, weak, unhealthy roots. Confirmation of TARR requires a microscope to observe a network of black filaments running over the surface of infected stolons (runners). Bring in a sample of diseased but still living runners (not completely brown and dead), and we can advise you on best cultural practices to have the best lawn possible.

– James Gill
Geni says
I have alot of bare patches in my st agustine. I am pretty sure I have TAAR again. At this late date shout I continue to treat the areas and then seed with rye for the winter. I’ve in Plano tx
Glenn Blackwood says
I live in Montgomery,Tx.I thought I might have chinch bugs or some sort of fungus. County Exstension agent suggested I cover brown/dead areas with Spagnum Peat moss which I did.Th areas just got worse
and spread.Now have large area of dead grass.Should I rake dead areas and wait for a miracle or resod and top dress?Thanks
What comes next are quantum chemistry results, not part of the article.
/*
{"formula": "C53H71BiFN13O8SSi", "method": "ωB97M-V/def2-TZVPD", "mol_weight_g_mol": 1306.4, "e_tot_ev": -119131.955, "gap_ev": 7.475, "charge": 2, "symbols": ["Bi", "C", "C", "N", "C", "C", "N", "C", "C", "C", "C", "C", "N", "C", "C", "N", "C", "C", "N", "C", "C", "C", "N", "C", "C", "H", "H", "H", "H", "H", "H", "H", "H", "H", "H", "H", "H", "N", "C", "C", "C", "C", "N", "C", "N", "N", "C", "O", "O", "H", "H", "H", "H", "H", "H", "H", "H", "H", "H", "H", "H", "H", "H", "F", "C", "C", "C", "C", "O", "C", "C", "N", "C", "C", "C", "C", "C", "C", "N", "C", "C", "N", "C", "C", "C", "O", "O", "H", "H", "H", "H", "H", "H", "H", "H", "H", "H", "H", "H", "H", "H", "H", "H", "H", "H", "C", "C", "C", "C", "O", "Si", "S", "O", "C", "C", "C", "C", "O", "C", "C", "C", "C", "H", "H", "H", "H", "H", "H", "H", "H", "H", "H", "H", "H", "H", "H", "H", "H", "H", "H", "H", "H", "H", "H", "H", "H", "H", "H", "H"], "coordinates": [[0.9770, -0.8396, -0.9052], [-0.4231, 2.3253, 2.4287], [-0.2048, 1.6513, 1.2356], [0.9541, 1.0468, 1.0043], [1.9016, 1.1070, 1.9377], [1.6747, 1.8056, 3.1174], [0.5144, 2.4039, 3.3664], [3.1454, 0.3172, 1.7087], [4.3994, 0.7935, 2.0562], [5.4990, -0.0396, 1.8829], [5.2777, -1.3200, 1.3906], [3.9871, -1.7160, 1.0529], [2.9441, -0.8983, 1.1967], [3.6918, -3.0577, 0.4805], [4.6035, -4.1071, 0.5101], [4.3475, -5.2769, -0.0658], [3.1707, -5.4140, -0.6589], [2.2377, -4.3810, -0.6632], [2.5043, -3.2096, -0.1084], [6.8697, 0.4291, 2.1991], [7.2852, 1.7030, 1.8328], [8.5808, 2.0940, 2.1375], [9.4511, 1.3155, 2.7742], [9.0451, 0.0992, 3.1282], [7.7752, -0.3903, 2.8617], [-1.3676, 2.8143, 2.6342], [-0.9492, 1.5959, 0.4455], [2.4389, 1.8727, 3.8834], [4.5218, 1.7878, 2.4661], [6.1195, -1.9790, 1.2333], [5.5564, -4.0281, 1.0178], [2.9777, -6.3515, -1.1647], [1.2717, -4.4865, -1.1411], [6.6241, 2.3738, 1.2984], [8.9379, 3.0772, 1.8537], [9.7696, -0.5120, 3.6539], [7.4924, -1.3838, 3.1868], [3.2499, -1.1579, -2.1529], [3.2667, -2.3615, -3.0066], [3.6371, -2.0135, -4.4559], [2.6338, -1.0881, -5.1746], [1.6834, -1.7623, -6.1685], [0.5372, -2.4877, -5.6358], [-0.5257, -1.9664, -5.0275], [-0.7102, -0.6528, -4.9419], [-1.4762, -2.7855, -4.5742], [1.9117, -3.0773, -3.0029], [1.8560, -4.2024, -3.4849], [0.8991, -2.4207, -2.5522], [3.1840, -0.3212, -2.7274], [4.0939, -1.0692, -1.5979], [3.9959, -3.0724, -2.6173], [3.7788, -2.9389, -5.0161], [4.6085, -1.5161, -4.4189], [3.1981, -0.3725, -5.7751], [2.0769, -0.4923, -4.4453], [2.2467, -2.4983, -6.7408], [1.3259, -1.0233, -6.8901], [0.6867, -3.4702, -5.4614], [0.0383, -0.0098, -5.1392], [-1.4317, -0.3012, -4.3278], [-1.2353, -3.7608, -4.4896], [-2.1019, -2.4497, -3.8485], [-0.7141, -1.5109, 6.2619], [-1.5859, -1.6462, 5.2335], [-1.1359, -1.5328, 3.9557], [-2.0037, -1.7668, 2.8839], [-1.4943, -1.6366, 1.5066], [-0.3099, -1.3548, 1.2946], [-2.4786, -1.8684, 0.4838], [-3.7272, -2.2802, 0.8220], [-4.1823, -2.4067, 2.0905], [-5.4960, -2.9570, 2.3426], [-6.6025, -2.0677, 2.8337], [-6.6308, -2.6119, 1.4359], [-3.3248, -2.1351, 3.1495], [-3.7778, -2.2115, 4.4766], [-2.9253, -1.9517, 5.5332], [-3.3348, -2.0443, 6.8771], [-4.6429, -2.6194, 7.1497], [-4.8343, -2.6861, 8.6679], [-3.4741, -2.8308, 9.2841], [-2.7106, -1.5358, 9.1558], [-3.0331, -0.9407, 7.7833], [-2.1776, -1.6952, -0.9749], [-2.8035, -2.3660, -1.7925], [-1.2834, -0.8188, -1.2560], [-0.0994, -1.2944, 3.7530], [-4.4217, -2.5388, 0.0354], [-5.4633, -3.9670, 2.7343], [-6.3874, -1.0130, 2.9460], [-7.2912, -2.4729, 3.5630], [-6.4539, -1.9087, 0.6343], [-7.3263, -3.4020, 1.1938], [-4.8101, -2.4665, 4.6565], [-4.6737, -3.6259, 6.7282], [-5.4721, -2.0452, 6.7174], [-5.4624, -3.5237, 8.9590], [-5.2648, -1.7745, 9.0759], [-2.9626, -3.5435, 8.7593], [-3.5232, -3.1313, 10.2571], [-1.6536, -1.7689, 9.2603], [-3.0183, -0.8802, 9.9677], [-2.1758, -0.3741, 7.4403], [-3.8780, -0.2447, 7.8455], [-0.9438, 2.4034, -6.7697], [-0.2868, 3.1201, -5.5987], [1.2324, 3.0255, -5.6818], [-0.7346, 4.5783, -5.5763], [-0.7546, 2.4472, -4.4081], [-0.3421, 2.5708, -2.8326], [1.2497, 1.1871, -2.4340], [-1.5925, 2.1067, -1.9175], [-3.0243, 2.2371, -2.0126], [-3.5270, 2.3030, -0.5780], [-3.5496, 0.9912, -2.7153], [-3.4309, 3.4822, -2.7877], [0.2711, 4.0331, -2.5694], [0.5710, 5.0278, -1.5877], [1.8580, 5.6976, -2.0469], [-0.5636, 6.0382, -1.5242], [0.7671, 4.3478, -0.2366], [-0.7540, 2.9498, -7.6944], [-2.0229, 2.3474, -6.6189], [-0.5584, 1.3905, -6.8906], [1.6021, 3.6406, -6.5033], [1.5528, 1.9943, -5.8497], [1.6908, 3.3796, -4.7562], [-0.4478, 5.0689, -6.5070], [-0.2757, 5.1095, -4.7442], [-1.8200, 4.6389, -5.4782], [-3.2350, 1.3958, -0.0423], [-4.6137, 2.3927, -0.5560], [-3.0959, 3.1676, -0.0682], [-3.1371, 0.0935, -2.2527], [-3.2729, 1.0139, -3.7721], [-4.6388, 0.9513, -2.6523], [-3.0712, 4.3873, -2.3019], [-4.5186, 3.5364, -2.8484], [-3.0318, 3.4465, -3.8018], [1.7115, 6.1877, -3.0106], [2.6474, 4.9517, -2.1545], [2.1762, 6.4460, -1.3200], [-0.7446, 6.4784, -2.5055], [-0.3152, 6.8375, -0.8246], [-1.4795, 5.5604, -1.1794], [1.5718, 3.6102, -0.3024], [-0.1542, 3.8423, 0.0670], [1.0265, 5.0838, 0.5251]]}
*/
Kate says
• Someone pasted quantum chemistry results at this point:
Entry 1:
{
  "formula": "C8H16N2",
  "method": "ωB97M-V with the def2-TZVPD basis set",
  "symbols": ["C", "C", "C", "H", "H", "H", "H", "C", "N", "H", "H", "H", "N", "H", "C", "H", "H", "C", "H", "H", "H", "C", "H", "C", "H", "H"],
  "xyz": [[-1.239590, 2.402366, -1.055195], [0.773515, -2.087747, -0.245611], [-0.582372, 2.607377, 2.451120], [-0.510203, 1.671370, -2.982581], [0.533331, -1.212256, 0.360000], [2.789146, -2.749429, 0.268633], [-0.777822, 2.988438, 3.440018], [-0.469034, -2.873857, -0.650152], [0.561925, 1.971392, 2.067712], [-0.687094, -3.687556, 0.049489], [1.198655, 1.464795, 2.660013], [-0.034103, 0.618978, -1.657975], [-1.398849, 2.806762, 1.454333], [1.334208, -1.735013, -1.107045], [-0.819904, 1.275439, -2.011459], [-0.356130, -3.323112, -1.635962], [-1.351682, -2.235371, -0.696920], [0.397021, 1.685081, 0.735963], [-1.646287, 0.594041, -2.195306], [1.065341, 1.232131, 0.015989], [-2.321837, 2.481464, -1.066413], [1.765019, -2.890761, 0.629864], [1.771673, -2.622189, 1.678756], [-0.791118, 2.229285, 0.359525], [1.632359, -3.965509, 0.546955], [-0.836169, 3.353881, -1.413750]],
  "forces_ev_per_a": [[-0.10, -0.20, 0.03], [0.61, -0.24, 0.99], [-0.21, 0.32, 0.06], [-0.04, -0.05, 0.11], [-0.36, 0.12, -0.31], [-0.02, 0.20, 0.13], [0.23, -0.25, 0.16], [-0.22, 0.07, -0.03], [-0.03, -0.60, 0.00], [0.05, 0.18, 0.00], [0.02, 0.32, 0.17], [0.36, 0.16, 0.23], [-0.07, 0.05, -0.25], [-0.22, 0.11, -0.25], [-0.21, -0.07, -0.35], [0.08, -0.08, -0.02], [-0.02, 0.01, -0.02], [-0.28, 0.06, -1.09], [-0.23, 0.01, -0.05], [0.46, -0.10, 0.83], [-0.16, 0.20, -0.01], [0.70, -0.23, -0.77], [-0.27, 0.06, 0.21], [0.42, 0.15, 0.15], [-0.33, -0.19, 0.07], [-0.13, -0.01, 0.02]],
  "lowdin_charge": [-0.189, -0.311, -0.208, 0.072, 0.072, 0.063, 0.113, -0.116, 0.055, 0.069, 0.144, 0.037, 0.099, 0.091, -0.095, 0.068, 0.061, -0.095, 0.068, 0.110, 0.104, -0.121, 0.059, -0.320, 0.061, 0.110],
  "lumo_ev": 0.79,
  "homo_lumo_gap_ha": 0.3437,
  "de_lowest_kj_mol": 61.5,
  "total_energy_ha": -423.91622,
  "smiles": "CCc1c[nH]cn1.CCC",
  "largest_force_ha_per_bohr": 0.023,
  "homo_ev": -8.57
}

Entry 2:
{
  "formula": "C22H48As2F24N8O14S4",
  "method": "ωB97M-V with the def2-TZVPD basis set",
  "symbols": ["H", "F", "H", "O", "H", "C", "H", "H", "H", "F", "F", "H", "O", "S", "F", "F", "H", "C", "H", "C", "H", "H", "C", "S", "H", "O", "S", "H", "C", "H", "C", "F", "O", "H", "H", "H", "H", "H", "H", "H", "N", "H", "H", "N", "F", "H", "C", "H", "C", "F", "N", "As", "H", "F", "F", "H", "As", "O", "H", "O", "O", "H", "H", "C", "H", "H", "S", "H", "C", "H", "H", "O", "H", "H", "F", "C", "H", "H", "F", "H", "N", "C", "H", "C", "F", "O", "O", "H", "C", "O", "H", "N", "O", "H", "F", "F", "C", "F", "C", "N", "F", "N", "H", "C", "F", "H", "F", "N", "C", "H", "F", "O", "C", "F", "C", "F", "C", "C", "F", "H", "F", "O"],
• So much for the quantum chemistry results:
How do I send a pic of my diseased lawn do u can recommend something yo use
Jesse says
Hi Kate – email us at: info@gillnursery.com
Sofia says
Is there a tool to use to bring up all of the dead grass. Be side a regular rake
james gill says
Nothing better than a rake, that I know of. If you want to take it farther, compacted soil is another factor promoting take-all root rot, so you could rototill dead areas before plugging in new sod. I would place some Natures Blend compost below and on top of new plugs, and topdress with compost 3 times a year to suppress any future problems with take-all.
Linda Lamprecht says
Does it affect Floratam grass?
james gill says
Yes it does. But like we see with the previously more common brown patch fungus, Floratam seems to be somewhat more resistant, but can still get it. If the take all patch problem continues to get much more widespread, I may shift all my new lawn plantings to zoysia, which is not at all susceptible.
James Gill says
Need to update, 1/26,2021. Take All attacks all lawn grasses, bermuda and zoysia included.